photoblogography - Just some stuff about photography

Serial photography

getting ones ducks in a row

in Photography , Thursday, March 06, 2014

=====
Entry 1:
Entry from the Materials Project database: CaV2P3HO12 after structural relaxation (PBE with a Hubbard U).

Cell lengths 6.4797, 20.3113, 9.0875 Å; angles 90.00, 134.08, 90.00 degrees
Closest atoms and distances in Å follow each position.
Space group P2_1/c (No. 14)
Unique sites:
Ca 0.2053 0.0791 0.0594 x4  8 O 2.41-2.69, 1 H 2.67
V 0.3275 0.0970 0.7324 x4  6 O 2.01-2.19
V 0.3490 0.7107 0.4139 x4  6 O 1.96-2.14
P 0.1423 0.2480 0.0808 x4  4 O 1.53-1.59
P 0.1636 0.5505 0.2815 x4  4 O 1.53-1.59
P 0.2988 0.6219 0.8829 x4  4 O 1.50-1.61
H 0.3410 0.0563 0.4070 x4  1 O 1.00
O 0.0102 0.1059 0.7238 x4  1 P 1.53
O 0.0123 0.7029 0.3844 x4  1 P 1.54
O 0.0402 0.5218 0.3643 x4  1 P 1.54
O 0.0753 0.7113 0.1142 x4  1 P 1.53
O 0.0836 0.0797 0.4313 x4  1 P 1.53
O 0.3213 0.6001 0.7307 x4  1 P 1.55
O 0.3239 0.2010 0.0728 x4  1 P 1.55
O 0.3439 0.5012 0.2782 x4  1 P 1.55
O 0.3496 0.2001 0.7611 x4  1 P 1.59
O 0.3916 0.6913 0.9585 x4  1 P 1.50
O 0.3925 0.6059 0.4367 x4  1 P 1.59
O 0.4981 0.5726 0.0758 x4  1 H 1.00

***

Entry 2:
Entry from the Materials Project database: CaVSi4H6O15 after structural relaxation (PBE with a Hubbard U).

Cell lengths 14.2967, 10.4272, 9.0037 Å; angles 90.00, 90.00, 90.00 degrees
Closest atoms and distances in Å follow each position.
Space group Cmc2_1 (No. 36)
Unique sites:
Ca 0.0000 0.2468 0.0000 x4  5 O 2.28-2.48
V 0.0000 0.0463 0.3323 x4  1 O 1.61
Si 0.2048 0.1007 0.8686 x8  4 O 1.62-1.64
Si 0.2050 0.1524 0.2121 x8  4 O 1.62-1.65
H 0.0000 0.3421 0.4332 x4  1 O 0.97
H 0.0000 0.3557 0.6422 x4  2 O 1.14-1.27
H 0.0736 0.4886 0.0185 x8  1 O 1.04
H 0.1639 0.4142 0.9626 x8  1 O 0.98
O 0.0000 0.1092 0.4955 x4  1 V 1.61
O 0.0000 0.3298 0.7657 x4  1 H 1.14
O 0.0000 0.4048 0.5129 x4  1 H 0.97
O 0.0903 0.1456 0.2226 x8  1 Si 1.64
O 0.0909 0.0872 0.8559 x8  1 Si 1.64
O 0.1115 0.4047 0.0320 x8  2 H 0.98-1.04
O 0.2347 0.1299 0.0395 x8  2 Si 1.63
O 0.2471 0.2149 0.7667 x8  2 Si 1.62
O 0.2490 0.0378 0.3173 x8  2 Si 1.64-1.65

***

Entry 3:
Entry from the Materials Project database: Ca3HoMn4O12 after structural relaxation (PBE with a Hubbard U).

Cell lengths 5.3474, 7.5789, 5.4676 Å; angles 90.00, 90.02, 90.00 degrees
Closest atoms and distances in Å follow each position.
Space group Pm (No. 6)
Unique sites:
Ca 0.0000 0.0000 0.0000 x1  4 O 2.32-2.39
Ca 0.0189 0.5000 0.9034 x1  6 O 2.33-2.57
Ca 0.5190 0.0000 0.4975 x1  4 O 2.33-2.41
Ho 0.4971 0.5000 0.3918 x1  8 O 2.28-2.55
Mn 0.0080 0.2491 0.4534 x2  6 O 1.94-1.99
Mn 0.5118 0.2489 0.9487 x2  6 O 1.94-1.99
O 0.0890 0.0000 0.4280 x1  2 Mn 1.94
O 0.2237 0.3003 0.1679 x2  2 Mn 1.98-1.99
O 0.3096 0.2990 0.6546 x2  2 Mn 1.97-1.99
O 0.4278 0.0000 0.9292 x1  2 Mn 1.94
O 0.5908 0.5000 0.9797 x1  2 Mn 1.96
O 0.7093 0.2156 0.2509 x2  2 Mn 1.96-1.98
O 0.8088 0.2096 0.7489 x2  2 Mn 1.95-1.96
O 0.9158 0.5000 0.4729 x1  2 Mn 1.97

***

Entry 4:
Entry from the Materials Project database: Ca2HoMn3O9 after structural relaxation (PBE with a Hubbard U).
=====

There comes a point, surely, when any amateur photographer asks the question “now what?” - now that I’ve got thousands of photos squirrelled away, that I’ve learnt what all the knobs and dials do, forgotten it, and learnt all over again. Now that I’ve bought and read all the HOW TO books. What next? The answer often seems to be, buy a new camera, or software, or something. Oh, and blog about it. But surely even Gear Acquisition Syndrome loses its allure over time? Maybe not for everybody, but for me just making semi-random photographs which a new camera every 3 months doesn’t really bring much satisfaction. The next step, if you can avoid the gear trap, is often to embark on projects. Such projects are greatly loved by the photo magazine industry. Every month, garish covers scream “SHOOT LANDSCAPES! / GARDENS! / PUPPIES! / BARE LADIES! / BITS OF TOAST!” or whatever, but all too often this is a thinly veiled cover with a gear selling pitch barely concealed beneath it. My feeling is that the biggest step comes from getting away from concentrating on the mechanisms of photography, and getting into the actual product of the creative process. I’m sure there are plenty of different ways of doing this, but I’m increasingly attracted by the idea of the photo series. By which I mean creating coherent sets of photographs, each of which may well stand alone, but which together reinforce each other through some form of common theme, structure, or intent.  This is one reason that I find online photo sharing sites quite unsatisfying, as they’re pretty much all focused on the latest upload, on displaying single shots, and leave the photographer no significant control over presentation and layout.  On this site in recent months I’ve tried to take a “series” approach, and even if this means nothing to anybody else, it gives me some sense of purpose. As an aside, I long ago realised that it is extremely easy to attract visitors to a photography site - just be controversial about gear. This post is by far my most viewed, and remains perched high on top of the weekly rankings. Heavens only knows why people find it interesting. So if I wanted eyeballs over all else, I’ve no doubt I could get them.

Inserted here: calculated crystals >
+++
Computed, not measured: a relaxed BaNaScSi2O7 crystal at the PBE-GGA level of DFT.

Cell and atoms, written as POSCAR:
```
BaNaScSi2O7
1.0
5.692 0.000 0.000
0.000 6.914 0.000
0.000 2.972 8.421
Ba Na Sc Si O
2 2 2 4 14
Direct
0.250 0.794 0.534
0.750 0.206 0.466
0.750 0.231 0.998
0.250 0.769 0.002
0.750 0.798 0.265
0.250 0.202 0.735
0.750 0.860 0.843
0.250 0.140 0.157
0.750 0.553 0.681
0.250 0.447 0.319
0.750 0.615 0.847
0.250 0.385 0.153
0.991 0.966 0.749
0.491 0.034 0.251
0.009 0.034 0.251
0.509 0.966 0.749
0.750 0.863 0.024
0.250 0.137 0.976
0.750 0.762 0.524
0.250 0.238 0.476
0.513 0.419 0.687
0.013 0.581 0.313
0.487 0.581 0.313
0.987 0.419 0.687
```

Output
Mass density, Mg/m³: 3.74
Formation energy, eV per formula unit: -40.08
Space group: P2_1/m, No. 11
Magnetization, μB per formula unit: 0.0

=====

Computed, not measured: a relaxed BaNaSmSeO6 crystal at the PBE-GGA level of DFT.

Cell and atoms, written as POSCAR:
```
BaNaSmSeO6
1.0
-2.940 -3.946 -3.126
0.069 -5.611 1.582
-4.803 -2.469 2.197
Ba Na Sm Se O
1 1 1 1 6
Direct
0.250 0.250 0.250
0.750 0.750 0.750
0.500 0.500 0.500
0.000 0.000 0.000
0.777 0.223 0.223
0.223 0.777 0.777
0.777 0.223 0.777
0.223 0.777 0.223
0.777 0.777 0.223
0.223 0.223 0.777
```

Output
Mass density, Mg/m³: 5.75
Formation energy, eV per formula unit: -23.84
Space group: F-43m, No. 216
Magnetization, μB per formula unit: 0.0

=====

Computed, not measured: a relaxed Ba6Na2Si4O15 crystal at the PBE-GGA level of DFT.

Cell and atoms, written as POSCAR:
```
Ba6Na2Si4O15
1.0
7.973 0.000 0.000
0.000 9.655 0.000
0.000 3.540 11.130
Ba Na Si O
12 4 8 30
Direct
0.979 0.333 0.916
0.996 0.659 0.585
0.502 0.001 0.226
0.998 0.001 0.726
0.002 0.999 0.274
0.479 0.667 0.584
0.521 0.333 0.416
0.021 0.667 0.084
0.004 0.341 0.415
0.496 0.341 0.915
0.504 0.659 0.085
0.498 0.999 0.774
0.248 0.321 0.669
0.748 0.679 0.831
0.252 0.321 0.169
0.752 0.679 0.331
0.255 0.621 0.345
0.745 0.379 0.655
0.210 0.036 0.991
0.290 0.036 0.491
0.245 0.621 0.845
0.790 0.964 0.009
0.755 0.379 0.155
0.710 0.964 0.509
0.923 0.288 0.682
0.307 0.881 0.030
0.423 0.712 0.818
0.757 0.867 0.148
0.577 0.288 0.182
0.931 0.284 0.175
0.751 0.486 0.013
0.238 0.513 0.757
0.754 0.866 0.920
0.693 0.119 0.970
0.246 0.134 0.080
0.262 0.513 0.257
0.257 0.133 0.352
0.193 0.881 0.530
0.243 0.133 0.852
0.743 0.867 0.648
0.251 0.514 0.487
0.254 0.134 0.580
0.749 0.486 0.513
0.762 0.487 0.243
0.738 0.487 0.743
0.431 0.716 0.325
0.746 0.866 0.420
0.569 0.284 0.675
0.077 0.712 0.318
0.000 0.000 0.000
0.807 0.119 0.470
0.249 0.514 0.987
0.069 0.716 0.825
0.500 0.000 0.500
```

Output
Mass density, Mg/m³: 4.74
Formation energy, eV per formula unit: -86.87
Space group: P2_1/c, No. 14

=====

Computed, not measured: a relaxed BaNa2Ti2Si4O14 crystal at the PBE-GGA level of DFT.

Cell and atoms, written as POSCAR:
```
BaNa2Ti2Si4O14
1.0
2.593 -8.653 -3.530
8.294 -0.118 5.026
-9.167 0.427 3.138
Ba Na Ti Si O
2 4 4 8 28
Direct
0.001 0.728 0.227
0.999 0.226 0.727
0.000 0.978 0.978
+++

Anyway, all this web stuff is all very well, but it doesn’t set the bar very high. Getting a photo published here and there in OLYMPUS magazine is neither challenging nor exactly earth shattering. The next step is to have the nerve to submit a printed portfolio to a real, honest-to-goodness magazine, and one with good artistic credentials at that. Is it over-ambitious of me? Probably, but you have to start somewhere.  So I put together a series of photos which I actually have a strong connection with. There aren’t that many subjects that I really connect with - and the name of this website is a good pointer to one of them. Combining this with what some have described as my “signature”, more heartfelt panoramic format, putting together a series was relatively easy. At least it was easier than writing the description, CV and covering letter. I’d finished the actual prints before Christmas. I finished the covering letter last night, and the whole package went in the post this morning. One small step…

• Crystal structures, as found in the file:
/*
Here is a relaxed structure of Na10Al4Si7Sn4S5O48 from Materials Project. Energies are from PBE.

abc: 17.651 8.845 22.230
angles: 89.81 90.16 120.02
Positions (direct):
Na: 0.182 0.372 0.245
Na: 0.682 0.372 0.245
Na: 0.995 0.627 0.253
Na: 0.496 0.627 0.253
Na: 0.495 0.362 0.756
Na: 0.182 0.992 0.748
Na: 0.684 0.995 0.747
Na: 0.656 0.337 0.580
Na: 0.018 0.706 0.581
Na: 0.829 0.960 0.589
Na: 0.489 0.667 0.912
Na: 0.990 0.670 0.911
Na: 0.850 0.036 0.909
Na: 0.161 0.292 0.921
Na: 0.489 0.312 0.412
Na: 0.988 0.310 0.412
Na: 0.351 0.664 0.409
Na: 0.851 0.664 0.413
Na: 0.015 0.004 0.498
Na: 0.511 0.994 0.496
Na: 0.009 0.014 0.999
Na: 0.512 0.030 0.996
Na: 0.337 0.324 0.833
Na: 0.839 0.335 0.828
Na: 0.333 0.332 0.330
Na: 0.833 0.332 0.331
Na: 0.173 0.661 0.162
Na: 0.672 0.661 0.162
Na: 0.172 0.676 0.667
Na: 0.671 0.682 0.666
Al: 0.001 0.002 0.353
Al: 0.502 0.001 0.353
Al: 0.998 0.995 0.851
Al: 0.498 0.000 0.855
Al: 0.333 0.318 0.691
Al: 0.833 0.334 0.688
Al: 0.335 0.351 0.187
Al: 0.835 0.352 0.188
Al: 0.160 0.647 0.017
Al: 0.656 0.643 0.018
Al: 0.162 0.672 0.517
Al: 0.662 0.665 0.521
Si: 0.357 0.717 0.251
Si: 0.857 0.717 0.252
Si: 0.992 0.283 0.252
Si: 0.492 0.283 0.252
Si: 0.993 0.697 0.752
Si: 0.492 0.700 0.753
Si: 0.357 0.997 0.752
Si: 0.857 0.008 0.752
Si: 0.191 0.038 0.587
Si: 0.686 0.036 0.587
Si: 0.830 0.622 0.585
Si: 0.190 0.344 0.085
Si: 0.688 0.344 0.087
Si: 0.021 0.369 0.919
Si: 0.522 0.364 0.918
Si: 0.164 0.952 0.920
Si: 0.662 0.953 0.921
Si: 0.163 0.371 0.420
Si: 0.662 0.366 0.419
Si: 0.023 0.678 0.418
Si: 0.525 0.679 0.420
Sn: 0.000 0.989 0.650
Sn: 0.497 0.983 0.650
Sn: 0.001 0.013 0.147
Sn: 0.501 0.013 0.147
Sn: 0.331 0.319 0.982
Sn: 0.826 0.323 0.983
Sn: 0.328 0.333 0.482
Sn: 0.829 0.340 0.483
Sn: 0.165 0.655 0.315
Sn: 0.665 0.655 0.315
Sn: 0.163 0.673 0.815
Sn: 0.666 0.676 0.816
S: 0.147 0.003 0.252
S: 0.647 0.003 0.251
S: 0.147 0.293 0.751
S: 0.647 0.290 0.751
S: 0.479 0.335 0.585
S: 0.981 0.337 0.584
S: 0.330 0.623 0.584
S: 0.480 0.625 0.085
S: 0.981 0.625 0.085
S: 0.329 0.037 0.086
S: 0.830 0.039 0.085
S: 0.312 0.673 0.919
S: 0.811 0.668 0.919
S: 0.310 0.953 0.418
S: 0.811 0.955 0.419
O: 0.106 0.034 0.304
O: 0.606 0.034 0.304
O: 0.420 0.805 0.310
O: 0.920 0.806 0.310
O: 0.483 0.168 0.312
O: 0.983 0.169 0.312
O: 0.106 0.181 0.805
O: 0.604 0.176 0.803
O: 0.483 0.798 0.812
O: 0.986 0.801 0.811
O: 0.425 0.039 0.806
O: 0.917 0.028 0.811
O: 0.395 0.972 0.688
O: 0.896 0.978 0.688
O: 0.093 0.221 0.696
O: 0.593 0.224 0.694
O: 0.024 0.824 0.692
O: 0.527 0.830 0.694
O: 0.400 0.826 0.190
O: 0.900 0.826 0.190
O: 0.027 0.219 0.195
O: 0.527 0.218 0.195
O: 0.092 0.961 0.196
O: 0.592 0.960 0.196
O: 0.435 0.357 0.638
O: 0.938 0.364 0.635
O: 0.251 0.142 0.645
O: 0.749 0.131 0.644
O: 0.321 0.514 0.636
O: 0.815 0.487 0.639
O: 0.437 0.515 0.138
O: 0.937 0.515 0.138
O: 0.322 0.130 0.138
O: 0.823 0.134 0.137
O: 0.249 0.357 0.144
O: 0.748 0.359 0.146
O: 0.230 0.308 0.023
O: 0.728 0.303 0.026
O: 0.427 0.548 0.029
O: 0.928 0.549 0.028
O: 0.350 0.144 0.029
*/
• Back to the entry:

Planche contact

The contact sheet

Obviously there is perhaps more than a passing resemblance here to the work of Stuart Klipper, whose praises I’ve sung on this blog. But, in my self-defence, I only discovered his work on the day I took the first photo in this series, and indeed had it not been for an unfortunate encounter with a gale in the Arctic, I’d possibly have made a similar series some three years ago.

I’ll let you when the rejection letter arrives. It will be in French.


Posted in Photography on Thursday, March 06, 2014 at 08:00 PM • PermalinkComments ()